MANIFEST DESTINY Lands acquired by the United States
MANIFEST DESTINY The idea that the United States had the right and duty to EXPAND ACROSS THE NORTH AMERICAN CONTINENT. The U.S. has a divine right to this land: the belief that God wanted us to own all of this land.
LOUISIANA TERRITORY Farmers used the Mississippi River to sell crops; wanted control over the port city of New Orleans to ensure business THOMAS JEFFERSON sent James Monroe to France to buy New Orleans for $7.5 million. Napoleon offered to sell the whole Louisiana Territory for $15 million…what a great deal! Monroe agreed and DOUBLED the size of the U.S!
FLORIDA Problem: Seminole Indians raided Georgia farms & slaves RAN AWAY to escape in Florida President Monroe sent ANDREW JACKSON to end raids. Instead, Jackson took over Florida completely and replaced the Spanish governor. Monroe supported Jackson and told Spain to “govern Florida properly, or GET OUT!” The U.S. gave Spain $5 million for Florida.
=====
{
  "formula": "C8H8N3O",
  "method": "ωB97M-V/def2-TZVPD",
  "elements": ["N", "C", "C", "C", "C", "C", "C", "C", "C", "O", "N", "N", "H", "H", "H", "H", "H", "H", "H", "H"],
  "positions_angstrom": [[-2.82962, 1.51506, 0.66795], [-1.75089, 1.27398, 0.29283], [-0.38285, 1.07243, 0.22823], [0.28609, 2.22198, 0.71843], [1.65919, 2.11247, 0.93580], [2.18421, 0.85996, 0.95646], [1.54845, -0.25086, 0.57604], [0.27602, -0.20754, 0.03042], [-0.24847, -1.36524, -0.62057], [0.30232, -2.54150, -0.28172], [-1.19977, -1.34336, -1.51074], [-1.55088, -2.57847, -1.96254], [-3.76727, 1.47013, 0.45814], [-0.27050, 3.09125, 0.70802], [2.20742, 3.03155, 1.26824], [3.16645, 0.85621, 1.43088], [2.10196, -1.15297, 0.51805], [1.18768, -2.55224, 0.22363], [-2.10518, -2.26638, -2.85832], [-0.81435, -3.24647, -1.77924]],
  "charge": 1,
  "de_lowest_ev": 1.878,
  "total_energy_ha": -548.7948,
  "smiles": "N=C=c1cccc/c1=C(\\O)N=[NH2+]",
  "mol_weight_da": 162.17
}

---

{
  "formula": "C10H20N4O4",
  "method": "ωB97M-V/def2-TZVPD",
  "elements": ["N", "C", "C", "C", "C", "C", "N", "C", "O", "C", "N", "C", "C", "N", "O", "C", "O", "O", "H", "H", "H", "H", "H", "H", "H", "H", "H", "H", "H", "H", "H", "H", "H", "H", "H", "H", "H", "H"],
  "positions_angstrom": [[-0.88070, -1.90090, -1.35013], [-2.11122, -1.51756, -2.06622], [-2.55386, -0.08041, -1.71062], [-1.85089, 1.11277, -2.39382], [-0.35909, 1.18298, -2.11789], [0.17060, 1.56721, -0.72571], [0.00552, 0.43731, 0.21373], [0.66089, 0.28816, 1.35990], [1.48057, 1.06127, 1.83977], [0.32126, -0.94935, 2.18334], [-0.90925, -1.56979, 1.68791], [1.51893, -1.91653, 2.26736], [2.09891, -2.26217, 0.86901], [3.00604, -1.36138, 0.42967], [1.82433, -3.27692, 0.26262], [-0.48576, 2.83369, -0.17229], [-1.38989, 2.85374, 0.65361], [0.12282, 3.94471, -0.65916], [-0.43851, -2.71443, -1.76815], [-1.00386, -2.12185, -0.37560], [-1.98498, -1.65628, -3.12351], [-2.99287, -2.12468, -1.80541], [-2.45785, 0.03942, -0.59791], [-3.64540, -0.02425, -1.95547], [-2.36644, 2.02554, -2.09388], [-2.02941, 1.05922, -3.46277], [0.06535, 0.18428, -2.36265], [0.13628, 1.86684, -2.86126], [1.22485, 1.78044, -0.81087], [-0.63147, -0.26597, -0.08886], [0.19689, -0.55841, 3.23727], [-1.14931, -2.41946, 2.13781], [-1.74398, -0.95971, 1.82121], [2.24323, -1.40441, 2.88795], [1.15556, -2.85335, 2.67875], [3.05896, -0.36885, 0.72412], [3.48180, -1.66015, -0.40884], [-0.43121, 4.72438, -0.37327]],
  "charge": 0,
  "de_lowest_ev": 0.000,
  "total_energy_ha": -913.0914,
  "smiles": "NCCCC[C@H](NC(=O)[C@@H](N)CC(N)=O)C(=O)O",
  "mol_weight_da": 260.29
}

---

{
  "formula": "C33H41As2DyN5OS",
  "method": "ωB97M-V/def2-TZVPD",
=====
TEXAS Texas was part of MEXICO and was great for growing COTTON. Stephen Austin was allowed to start a small American COLONY. Soon there were more Americans living in Texas than Tejanos (Texans of Mexican descent). TENSIONS were rising! Americans were very unhappy when Mexico banned slavery in Many American settlers were going into Mexico illegally, so the Mexican government closed Texas to American immigration. Americans in Texas requested that the Mexican government allow Texas to be its own state and run its own affairs…General Antonio Lopez de SANTA ANNA angrily denied this request. Texans rose up in REVOLT!
TEXAS Santa Anna’s troops marched into San Antonio. The Texans had taken over an old mission: the ALAMO. Santa Anna raised a black flag, meaning “Expect No Mercy!” The Texans were outnumbered by 10 to 1; only 1 man fled. The Texans defended the Alamo for 12 days. Santa Anna’s army killed ALL of the Alamo’s defenders, including the Tennessee backwoodsman and congressman, Davy Crockett. The Alamo INSPIRED Texans to fight for their independence. Santa Anna followed Texan troops deeper into Texas. They met at the San Jacinto River where the Mexican troops stayed up all night waiting for an attack. When they went to sleep, Texans attacked while crying, “Remember the Alamo!” Texas won its INDEPENDENCE!
TEXAS Texas remained an INDEPENDENT coutry for 10 years. Most TEXANS were Americans who wanted Texas to be part of the U.S. In the U.S., northerners did not want to annex Texas because it allowed SLAVERY, while southerners wanted to add another slave state. Texas was ANNEXED in 1845 as the 28 th state.
OREGON Oregon was claimed by 4 nations: Great Britain, Spain, Russia & the U.S. By 1825, just GREAT BRITAIN & the U.S. had claims to Oregon. Oregon was known as a “Pioneer’s Paradise” because of its FERTILE land, which triggered “Oregon Fever” where pioneers traveled the OREGON TRAIL to settle this land. The U.S. SPLIT the Oregon Territory with Great Britain along the 49 th parallel (line of latitude)
MEXICAN CESSION Mexico was very upset when the U.S. annexed Texas. The U.S. & Mexico also argued over the BORDER in TEXAS. Mexico claimed that the Nueces River was the border, while the U.S. claimed it to be the RIO GRANDE. Mexican soldiers shot and killed American troops patrolling the Rio Grande…started the MEXICAN-AMERICAN WAR! General Stephen Kearny took control of NEW MEXICO while John C. Fremont won over CALIFORNIA. General Winfield Scott’s army captured MEXICO CITY. The Treaty of Guadalupe Hidalgo gave the U.S. HALF of Mexico’s territory. The U.S. gave Mexico $15 million.